Material >
/*
First-principles (GGA-PBE) data for an optimized crystal structure of PaCu17Ag, as listed in the Alexandria database.

Properties
V = 256 Å³/cell
Uncorrected energy = -4.26 eV/atom
D(E_F) = 5.91 states/eV per cell
ΔE_f = 0.05 eV/atom

```
19
Lattice="6.353 0.042 0.796 0.708 6.313 0.796 0.046 0.042 6.402" Properties=species:S:1:pos:R:3 pbc="T T T"
Cu 7.036 6.333 4.806
Cu 1.934 0.053 4.701
Cu 0.518 4.412 2.472
Cu 4.638 1.918 0.804
Cu 4.577 4.120 2.078
Cu 6.712 3.263 7.551
Cu 2.479 2.232 6.023
Cu 0.255 1.918 4.701
Cu 6.438 5.795 7.242
Cu 5.691 2.232 3.168
Cu 1.527 4.120 4.789
Cu 4.442 0.053 2.472
Cu 4.257 1.087 4.789
Cu 2.394 4.412 0.804
Cu 0.729 0.656 0.820
Cu 2.816 5.426 3.168
Cu 3.949 6.333 7.551
Pa 4.704 4.234 5.292
Ag 2.418 2.176 2.720
```


First-principles (GGA-PBE) data for an optimized crystal structure of Al2FeRe, as listed in the Alexandria database.

Properties
Excess energy over the best structure of this formula in the dataset = 0.21 eV per formula unit
V = 55 Å³/cell
Uncorrected energy = -7.22 eV/atom
D(E_F) = 2.40 states/eV per cell
ΔE_f = -0.13 eV/atom

```
4
Lattice="2.678 -0.004 0.000 -0.834 2.545 0.000 0.000 0.000 8.057" Properties=species:S:1:pos:R:3 pbc="T T T"
Re 0.922 1.271 6.043
Fe 0.922 1.271 2.014
Al 0.000 0.000 3.901
Al 0.000 0.000 0.128
```


First-principles (GGA-PBE) data for an optimized crystal structure of Np2Ga6Tc, as listed in the Alexandria database.

Properties
Excess energy over the best structure of this formula in the dataset = 0.21 eV per formula unit
V = 169 Å³/cell
Uncorrected energy = -6.18 eV/atom
D(E_F) = 15.21 states/eV per cell
ΔE_f = -0.13 eV/atom

```
9
Lattice="5.607 0.000 0.000 -2.803 4.979 0.977 0.000 -0.024 6.055" Properties=species:S:1:pos:R:3 pbc="T T T"
Ga 4.143 1.208 4.250
Ga 1.339 3.747 2.781
Ga 0.000 1.443 2.089
Ga 1.464 1.208 4.250
Ga 2.803 3.512 4.942
Ga -1.339 3.747 2.781
Np 2.803 1.413 1.055
Np 0.000 3.542 5.976
Tc 0.000 0.000 0.000
```
*/
Wanted >
What is needed: give back everything above with every line break kept.
Completed >
First-principles (GGA-PBE) data for an optimized crystal structure of PaCu17Ag, as listed in the Alexandria database.

Properties
V = 256 Å³/cell
Uncorrected energy = -4.26 eV/atom
D(E_F) = 5.91 states/eV per cell
ΔE_f = 0.05 eV/atom

```
19
Lattice="6.353 0.042 0.796 0.708 6.313 0.796 0.046 0.042 6.402" Properties=species:S:1:pos:R:3 pbc="T T T"
Cu 7.036 6.333 4.806
Cu 1.934 0.053 4.701
Cu 0.518 4.412 2.472
Cu 4.638 1.918 0.804
Cu 4.577 4.120 2.078
Cu 6.712 3.263 7.551
Cu 2.479 2.232 6.023
Cu 0.255 1.918 4.701
Cu 6.438 5.795 7.242
Cu 5.691 2.232 3.168
Cu 1.527 4.120 4.789
Cu 4.442 0.053 2.472
Cu 4.257 1.087 4.789
Cu 2.394 4.412 0.804
Cu 0.729 0.656 0.820
Cu 2.816 5.426 3.168
Cu 3.949 6.333 7.551
Pa 4.704 4.234 5.292
Ag 2.418 2.176 2.720
```


First-principles (GGA-PBE) data for an optimized crystal structure of Al2FeRe, as listed in the Alexandria database.

Properties
Excess energy over the best structure of this formula in the dataset = 0.21 eV per formula unit
V = 55 Å³/cell
Uncorrected energy = -7.22 eV/atom
D(E_F) = 2.40 states/eV per cell
ΔE_f = -0.13 eV/atom

```
4
Lattice="2.678 -0.004 0.000 -0.834 2.545 0.000 0.000 0.000 8.057" Properties=species:S:1:pos:R:3 pbc="T T T"
Re 0.922 1.271 6.043
Fe 0.922 1.271 2.014
Al 0.000 0.000 3.901
Al 0.000 0.000 0.128
```


First-principles (GGA-PBE) data for an optimized crystal structure of Np2Ga6Tc, as listed in the Alexandria database.

Properties
Excess energy over the best structure of this formula in the dataset = 0.21 eV per formula unit
V = 169 Å³/cell
Uncorrected energy = -6.18 eV/atom
D(E_F) = 15.21 states/eV per cell
ΔE_f = -0.13 eV/atom

```
9
Lattice="5.607 0.000 0.000 -2.803 4.979 0.977 0.000 -0.024 6.055" Properties=species:S:1:pos:R:3 pbc="T T T"
Ga 4.143 1.208 4.250
Ga 1.339 3.747 2.781
Ga 0.000 1.443 2.089
Ga 1.464 1.208 4.250
Ga 2.803 3.512 4.942
Ga -1.339 3.747 2.781
Np 2.803 1.413 1.055
Np 0.000 3.542 5.976
Tc 0.000 0.000 0.000
```